[Material]
+++
(1)
# In2RuW

A geometry-optimized In2RuW structure (GGA-PBE, Alexandria via LeMat-Bulk).

Values from the calculation:
Fermi-level density of states	4.6	states/eV/cell
raw total energy	-6.3797	eV/atom
calculated volume	71	Å³/f.u.
DFT formation energy	0.55	eV per atom
space-group type	P4/mmm, No. 123
M_tot	0.00	μB/cell
crystal system	tetragonal
distance to the lowest polymorph of the same formula	0.3548	eV/atom

```
4
Lattice="4.767 0.000 0.000 0.000 4.767 0.000 0.000 0.000 3.108" Properties=species:S:1:pos:R:3 pbc="T T T"
In 0.000 2.384 0.000
In 2.384 0.000 0.000
Ru 0.000 0.000 1.554
W 2.384 2.384 1.554
```

***

(2)
# Mn4VW

A geometry-optimized Mn4VW structure (GGA-PBE, Alexandria via LeMat-Bulk).

Values from the calculation:
Fermi-level density of states	10.0	states/eV/cell
raw total energy	-9.8585	eV/atom
calculated volume	73	Å³/f.u.
DFT formation energy	-0.07	eV per atom
space-group type	F-43m, No. 216
M_tot	0.00	μB/cell
crystal system	cubic

```
6
Lattice="0.000 3.314 3.314 3.314 0.000 3.314 3.314 3.314 0.000" Properties=species:S:1:pos:R:3 pbc="T T T"
Mn 2.492 2.492 2.492
Mn 4.137 4.137 2.492
Mn 4.137 2.492 4.137
Mn 2.492 4.137 4.137
V 4.972 4.972 4.972
W 0.000 0.000 0.000
```

***

(3)
# Ac2TlIn3

A geometry-optimized Ac2TlIn3 structure (GGA-PBE, Alexandria via LeMat-Bulk).

Values from the calculation:
Fermi-level density of states	5.6	states/eV/cell
raw total energy	-3.5255	eV/atom
calculated volume	188	Å³/f.u.
DFT formation energy	-0.39	eV per atom
space-group type	Pmm2, No. 25
M_tot	0.00	μB/cell
crystal system	orthorhombic
distance to the lowest polymorph of the same formula	0.0333	eV/atom

```
6
Lattice="3.962 0.000 0.000 0.000 5.193 0.000 0.000 0.000 9.140" Properties=species:S:1:pos:R:3 pbc="T T T"
Ac 0.000 0.000 0.000
Ac 0.000 2.596 4.560
Tl 1.981 2.596 7.622
In 1.981 0.000 3.027
In 1.981 0.000 6.055
In 1.981 2.596 1.555
```

***

(4)
# Ac6Y3Er

A geometry-optimized Ac6Y3Er structure (GGA-PBE, Alexandria via LeMat-Bulk).

Values from the calculation:
Fermi-level density of states	28.7	states/eV/cell
raw total energy	-4.7293	eV/atom
calculated volume	400	Å³/f.u.
DFT formation energy	0.13	eV per atom
space-group type	R-3, No. 148
M_tot	0.00	μB/cell
crystal system	trigonal

```
20
Lattice="8.366 4.830 3.300 -8.366 4.830 3.300 0.000 -9.660 3.300" Properties=species:S:1:pos:R:3 pbc="T T T"
Ac -2.467 -3.375 3.485
Ac -5.324 2.477 3.250
Ac 0.517 -5.849 3.250
Ac -4.807 -3.372 6.650
Ac -1.690 3.824 3.485
Ac -4.156 0.449 6.415
Ac 4.156 -0.449 3.485
Ac 1.690 -3.824 6.415
Ac 4.807 3.372 3.250
Ac -0.517 5.849 6.650
Ac 5.324 -2.477 6.650
Ac 2.467 3.375 6.415
Y -2.293 0.224 2.864
Y 0.952 -2.097 2.864
Y 1.340 1.873 2.864
Y -1.340 -1.873 7.036
Y -0.952 2.097 7.036
Y 2.292 -0.224 7.036
Er 0.000 0.000 0.000
Er 0.000 0.000 4.950
```

***

(5)
# Hf2TeAsBr

A geometry-optimized Hf2TeAsBr structure (GGA-PBE, Alexandria via LeMat-Bulk).

Values from the calculation:
Fermi-level density of states	4.3	states/eV/cell
raw total energy	-4.9216	eV/atom
calculated volume	150	Å³/f.u.
space-group type	P4/mmm, No. 123
M_tot	0.00	μB/cell
crystal system	tetragonal
raw formation energy	0.95	eV/atom
+++

[Work order]
It remains to print the whole of the entries earlier on exactly.

[Completed]
(1)
# In2RuW

A geometry-optimized In2RuW structure (GGA-PBE, Alexandria via LeMat-Bulk).

Values from the calculation:
Fermi-level density of states	4.6	states/eV/cell
raw total energy	-6.3797	eV/atom
calculated volume	71	Å³/f.u.
DFT formation energy	0.55	eV per atom
space-group type	P4/mmm, No. 123
M_tot	0.00	μB/cell
crystal system	tetragonal
distance to the lowest polymorph of the same formula	0.3548	eV/atom

```
4
Lattice="4.767 0.000 0.000 0.000 4.767 0.000 0.000 0.000 3.108" Properties=species:S:1:pos:R:3 pbc="T T T"
In 0.000 2.384 0.000
In 2.384 0.000 0.000
Ru 0.000 0.000 1.554
W 2.384 2.384 1.554
```

***

(2)
# Mn4VW

A geometry-optimized Mn4VW structure (GGA-PBE, Alexandria via LeMat-Bulk).

Values from the calculation:
Fermi-level density of states	10.0	states/eV/cell
raw total energy	-9.8585	eV/atom
calculated volume	73	Å³/f.u.
DFT formation energy	-0.07	eV per atom
space-group type	F-43m, No. 216
M_tot	0.00	μB/cell
crystal system	cubic

```
6
Lattice="0.000 3.314 3.314 3.314 0.000 3.314 3.314 3.314 0.000" Properties=species:S:1:pos:R:3 pbc="T T T"
Mn 2.492 2.492 2.492
Mn 4.137 4.137 2.492
Mn 4.137 2.492 4.137
Mn 2.492 4.137 4.137
V 4.972 4.972 4.972
W 0.000 0.000 0.000
```

***

(3)
# Ac2TlIn3

A geometry-optimized Ac2TlIn3 structure (GGA-PBE, Alexandria via LeMat-Bulk).

Values from the calculation:
Fermi-level density of states	5.6	states/eV/cell
raw total energy	-3.5255	eV/atom
calculated volume	188	Å³/f.u.
DFT formation energy	-0.39	eV per atom
space-group type	Pmm2, No. 25
M_tot	0.00	μB/cell
crystal system	orthorhombic
distance to the lowest polymorph of the same formula	0.0333	eV/atom

```
6
Lattice="3.962 0.000 0.000 0.000 5.193 0.000 0.000 0.000 9.140" Properties=species:S:1:pos:R:3 pbc="T T T"
Ac 0.000 0.000 0.000
Ac 0.000 2.596 4.560
Tl 1.981 2.596 7.622
In 1.981 0.000 3.027
In 1.981 0.000 6.055
In 1.981 2.596 1.555
```

***

(4)
# Ac6Y3Er

A geometry-optimized Ac6Y3Er structure (GGA-PBE, Alexandria via LeMat-Bulk).

Values from the calculation:
Fermi-level density of states	28.7	states/eV/cell
raw total energy	-4.7293	eV/atom
calculated volume	400	Å³/f.u.
DFT formation energy	0.13	eV per atom
space-group type	R-3, No. 148
M_tot	0.00	μB/cell
crystal system	trigonal

```
20
Lattice="8.366 4.830 3.300 -8.366 4.830 3.300 0.000 -9.660 3.300" Properties=species:S:1:pos:R:3 pbc="T T T"
Ac -2.467 -3.375 3.485
Ac -5.324 2.477 3.250
Ac 0.517 -5.849 3.250
Ac -4.807 -3.372 6.650
Ac -1.690 3.824 3.485
Ac -4.156 0.449 6.415
Ac 4.156 -0.449 3.485
Ac 1.690 -3.824 6.415
Ac 4.807 3.372 3.250
Ac -0.517 5.849 6.650
Ac 5.324 -2.477 6.650
Ac 2.467 3.375 6.415
Y -2.293 0.224 2.864
Y 0.952 -2.097 2.864
Y 1.340 1.873 2.864
Y -1.340 -1.873 7.036
Y -0.952 2.097 7.036
Y 2.292 -0.224 7.036
Er 0.000 0.000 0.000
Er 0.000 0.000 4.950
```

***

(5)
# Hf2TeAsBr

A geometry-optimized Hf2TeAsBr structure (GGA-PBE, Alexandria via LeMat-Bulk).

Values from the calculation:
Fermi-level density of states	4.3	states/eV/cell
raw total energy	-4.9216	eV/atom
calculated volume	150	Å³/f.u.
space-group type	P4/mmm, No. 123
M_tot	0.00	μB/cell
crystal system	tetragonal
raw formation energy	0.95	eV/atom